**Listing**
____________
1.
A plane-wave DFT calculation with GGA-PBE was carried out for Ca3SnS5 after structural relaxation.

* crystal system: hexagonal
* total DFT energy (no corrections): -4.76 eV per atom
* total magnetization: 0.00 μB/f.u.
* MP2020-corrected energy: -5.0413 eV per atom
* symmetry: P6_3cm
* theoretical density: 3.29 g/cm3

Structure (POSCAR):
```
Ca3SnS5
1.0
4.0359 -6.9904 0.0000
4.0359 6.9904 0.0000
0.0000 0.0000 7.1438
S Sn Ca
10 2 6
Direct
0.7634 0.0000 0.6560 S
0.0000 0.7634 0.6560 S
0.6667 0.3333 0.9153 S
0.2366 0.2366 0.6560 S
0.0000 0.2366 0.1560 S
0.2366 0.0000 0.1560 S
0.3333 0.6667 0.4153 S
0.6667 0.3333 0.4153 S
0.7634 0.7634 0.1560 S
0.3333 0.6667 0.9153 S
0.0000 0.0000 0.9057 Sn
0.0000 0.0000 0.4057 Sn
0.5778 0.5778 0.6715 Ca
0.0000 0.4222 0.6715 Ca
0.4222 0.4222 0.1715 Ca
0.4222 0.0000 0.6715 Ca
0.5778 0.0000 0.1715 Ca
0.0000 0.5778 0.1715 Ca
```

***

2.
A plane-wave DFT calculation with GGA-PBE was carried out for Ca4SnS6 after structural relaxation.

* crystal system: monoclinic
* total DFT energy (no corrections): -4.87 eV per atom
* total magnetization: 0.00 μB/f.u.
* MP2020-corrected energy: -5.1450 eV per atom
* symmetry: Cc
* largest piezoelectric modulus: 1.14 C/m2
* theoretical density: 2.49 g/cm3

Structure (POSCAR):
```
Ca4SnS6
1.0
3.7603 6.6927 0.0000
-3.7603 6.6927 0.0000
0.0000 5.1821 12.4703
S Ca Sn
12 8 2
Direct
0.7130 0.3088 0.7959 S
0.3088 0.7130 0.2959 S
0.0444 0.9835 0.5668 S
0.4153 0.0054 0.7436 S
0.5113 0.0710 0.0528 S
0.5987 0.0830 0.3642 S
0.0710 0.5113 0.5528 S
0.5486 0.5866 0.0171 S
0.0830 0.5987 0.8642 S
0.9835 0.0444 0.0668 S
0.5866 0.5486 0.5171 S
0.0054 0.4153 0.2436 S
0.2682 0.0513 0.3559 Ca
0.2291 0.4878 0.0433 Ca
0.4878 0.2291 0.5433 Ca
0.9164 0.6930 0.3619 Ca
0.0513 0.2682 0.8559 Ca
0.3520 0.7140 0.7049 Ca
0.7140 0.3520 0.2049 Ca
0.6930 0.9164 0.8619 Ca
0.3198 0.8768 0.1092 Sn
0.8768 0.3198 0.6092 Sn
```

***

3.
A plane-wave DFT calculation with GGA-PBE was carried out for CaSnS3 after structural relaxation.

* crystal system: triclinic
* total DFT energy (no corrections): -4.59 eV per atom
* total magnetization: 0.00 μB/f.u.
* MP2020-corrected energy: -4.8893 eV per atom
* symmetry: P-1
* theoretical density: 3.10 g/cm3

Structure (POSCAR):
```
CaSnS3
1.0
-12.3224 0.0000 0.0000
5.3944 11.8300 0.0000
-1.0357 -3.0990 -16.8771
Sn S Ca
18 54 18
Direct
0.0116 0.2939 0.1172 Sn
0.7499 0.2870 0.4885 Sn
0.8332 0.5320 0.0608 Sn
0.8576 0.5202 0.3121 Sn
0.9884 0.7061 0.8828 Sn
0.2501 0.7130 0.5115 Sn
0.4317 0.2425 0.7741 Sn
0.5683 0.7575 0.2259 Sn
0.6840 0.2005 0.1689 Sn
0.1424 0.4798 0.6879 Sn
0.1668 0.4680 0.9392 Sn
0.7183 0.8528 0.5107 Sn
0.0037 0.7810 0.1249 Sn
0.4830 0.5553 0.3927 Sn
0.2817 0.1472 0.4893 Sn
0.5170 0.4447 0.6073 Sn
0.3160 0.7995 0.8311 Sn
0.9963 0.2190 0.8751 Sn
0.9021 0.4220 0.4082 S
0.5198 0.4469 0.7579 S
0.6204 0.6801 0.6376 S
0.7299 0.0145 0.6241 S
0.8827 0.1915 0.4793 S
0.8567 0.3459 0.0590 S
0.8029 0.6552 0.4011 S
0.2701 0.9855 0.3759 S
0.3715 0.4912 0.9258 S
0.6150 0.7955 0.0914 S
0.7487 0.7828 0.8530 S
0.7842 0.0979 0.8681 S
0.3789 0.7792 0.2415 S
0.4690 0.9228 0.7534 S
0.1433 0.6541 0.9410 S
0.9400 0.9676 0.4521 S
0.8091 0.5372 0.9168 S
0.5471 0.1561 0.4858 S
0.1971 0.3448 0.5989 S
0.5310 0.0772 0.2466 S
0.2513 0.2172 0.1470 S
0.2158 0.9021 0.1319 S
0.0338 0.1524 0.9991 S
0.5993 0.8098 0.8959 S
0.0427 0.6293 0.2543 S
0.1661 0.8831 0.8373 S
0.5994 0.0863 0.0424 S
0.2631 0.5597 0.4069 S
0.8339 0.1169 0.1627 S
0.6285 0.5088 0.0742 S
0.7369 0.4403 0.5931 S
0.1173 0.8085 0.5207 S
0.3850 0.2045 0.9086 S
0.9662 0.8476 0.0009 S
0.1909 0.4628 0.0832 S
0.6815 0.3862 0.2355 S
0.0600 0.0324 0.5479 S
0.0759 0.1362 0.7616 S
0.4529 0.8439 0.5142 S
0.0979 0.5780 0.5918 S
0.9241 0.8638 0.2384 S
0.4007 0.1902 0.1041 S
0.3185 0.6138 0.7645 S
0.9170 0.6782 0.7483 S
0.3796 0.3199 0.3624 S
0.1978 0.2293 0.3833 S
0.9573 0.3707 0.7457 S
0.8022 0.7707 0.6167 S
0.4006 0.9137 0.9576 S
0.6865 0.9014 0.3371 S
0.6211 0.2208 0.7585 S
0.4802 0.5531 0.2421 S
0.3135 0.0986 0.6629 S
____________
**Job**
Could you retype all of the block earlier on without additions?
**Reply**
1.
A plane-wave DFT calculation with GGA-PBE was carried out for Ca3SnS5 after structural relaxation.

* crystal system: hexagonal
* total DFT energy (no corrections): -4.76 eV per atom
* total magnetization: 0.00 μB/f.u.
* MP2020-corrected energy: -5.0413 eV per atom
* symmetry: P6_3cm
* theoretical density: 3.29 g/cm3

Structure (POSCAR):
```
Ca3SnS5
1.0
4.0359 -6.9904 0.0000
4.0359 6.9904 0.0000
0.0000 0.0000 7.1438
S Sn Ca
10 2 6
Direct
0.7634 0.0000 0.6560 S
0.0000 0.7634 0.6560 S
0.6667 0.3333 0.9153 S
0.2366 0.2366 0.6560 S
0.0000 0.2366 0.1560 S
0.2366 0.0000 0.1560 S
0.3333 0.6667 0.4153 S
0.6667 0.3333 0.4153 S
0.7634 0.7634 0.1560 S
0.3333 0.6667 0.9153 S
0.0000 0.0000 0.9057 Sn
0.0000 0.0000 0.4057 Sn
0.5778 0.5778 0.6715 Ca
0.0000 0.4222 0.6715 Ca
0.4222 0.4222 0.1715 Ca
0.4222 0.0000 0.6715 Ca
0.5778 0.0000 0.1715 Ca
0.0000 0.5778 0.1715 Ca
```

***

2.
A plane-wave DFT calculation with GGA-PBE was carried out for Ca4SnS6 after structural relaxation.

* crystal system: monoclinic
* total DFT energy (no corrections): -4.87 eV per atom
* total magnetization: 0.00 μB/f.u.
* MP2020-corrected energy: -5.1450 eV per atom
* symmetry: Cc
* largest piezoelectric modulus: 1.14 C/m2
* theoretical density: 2.49 g/cm3

Structure (POSCAR):
```
Ca4SnS6
1.0
3.7603 6.6927 0.0000
-3.7603 6.6927 0.0000
0.0000 5.1821 12.4703
S Ca Sn
12 8 2
Direct
0.7130 0.3088 0.7959 S
0.3088 0.7130 0.2959 S
0.0444 0.9835 0.5668 S
0.4153 0.0054 0.7436 S
0.5113 0.0710 0.0528 S
0.5987 0.0830 0.3642 S
0.0710 0.5113 0.5528 S
0.5486 0.5866 0.0171 S
0.0830 0.5987 0.8642 S
0.9835 0.0444 0.0668 S
0.5866 0.5486 0.5171 S
0.0054 0.4153 0.2436 S
0.2682 0.0513 0.3559 Ca
0.2291 0.4878 0.0433 Ca
0.4878 0.2291 0.5433 Ca
0.9164 0.6930 0.3619 Ca
0.0513 0.2682 0.8559 Ca
0.3520 0.7140 0.7049 Ca
0.7140 0.3520 0.2049 Ca
0.6930 0.9164 0.8619 Ca
0.3198 0.8768 0.1092 Sn
0.8768 0.3198 0.6092 Sn
```

***

3.
A plane-wave DFT calculation with GGA-PBE was carried out for CaSnS3 after structural relaxation.

* crystal system: triclinic
* total DFT energy (no corrections): -4.59 eV per atom
* total magnetization: 0.00 μB/f.u.
* MP2020-corrected energy: -4.8893 eV per atom
* symmetry: P-1
* theoretical density: 3.10 g/cm3

Structure (POSCAR):
```
CaSnS3
1.0
-12.3224 0.0000 0.0000
5.3944 11.8300 0.0000
-1.0357 -3.0990 -16.8771
Sn S Ca
18 54 18
Direct
0.0116 0.2939 0.1172 Sn
0.7499 0.2870 0.4885 Sn
0.8332 0.5320 0.0608 Sn
0.8576 0.5202 0.3121 Sn
0.9884 0.7061 0.8828 Sn
0.2501 0.7130 0.5115 Sn
0.4317 0.2425 0.7741 Sn
0.5683 0.7575 0.2259 Sn
0.6840 0.2005 0.1689 Sn
0.1424 0.4798 0.6879 Sn
0.1668 0.4680 0.9392 Sn
0.7183 0.8528 0.5107 Sn
0.0037 0.7810 0.1249 Sn
0.4830 0.5553 0.3927 Sn
0.2817 0.1472 0.4893 Sn
0.5170 0.4447 0.6073 Sn
0.3160 0.7995 0.8311 Sn
0.9963 0.2190 0.8751 Sn
0.9021 0.4220 0.4082 S
0.5198 0.4469 0.7579 S
0.6204 0.6801 0.6376 S
0.7299 0.0145 0.6241 S
0.8827 0.1915 0.4793 S
0.8567 0.3459 0.0590 S
0.8029 0.6552 0.4011 S
0.2701 0.9855 0.3759 S
0.3715 0.4912 0.9258 S
0.6150 0.7955 0.0914 S
0.7487 0.7828 0.8530 S
0.7842 0.0979 0.8681 S
0.3789 0.7792 0.2415 S
0.4690 0.9228 0.7534 S
0.1433 0.6541 0.9410 S
0.9400 0.9676 0.4521 S
0.8091 0.5372 0.9168 S
0.5471 0.1561 0.4858 S
0.1971 0.3448 0.5989 S
0.5310 0.0772 0.2466 S
0.2513 0.2172 0.1470 S
0.2158 0.9021 0.1319 S
0.0338 0.1524 0.9991 S
0.5993 0.8098 0.8959 S
0.0427 0.6293 0.2543 S
0.1661 0.8831 0.8373 S
0.5994 0.0863 0.0424 S
0.2631 0.5597 0.4069 S
0.8339 0.1169 0.1627 S
0.6285 0.5088 0.0742 S
0.7369 0.4403 0.5931 S
0.1173 0.8085 0.5207 S
0.3850 0.2045 0.9086 S
0.9662 0.8476 0.0009 S
0.1909 0.4628 0.0832 S
0.6815 0.3862 0.2355 S
0.0600 0.0324 0.5479 S
0.0759 0.1362 0.7616 S
0.4529 0.8439 0.5142 S
0.0979 0.5780 0.5918 S
0.9241 0.8638 0.2384 S
0.4007 0.1902 0.1041 S
0.3185 0.6138 0.7645 S
0.9170 0.6782 0.7483 S
0.3796 0.3199 0.3624 S
0.1978 0.2293 0.3833 S
0.9573 0.3707 0.7457 S
0.8022 0.7707 0.6167 S
0.4006 0.9137 0.9576 S
0.6865 0.9014 0.3371 S
0.6211 0.2208 0.7585 S
0.4802 0.5531 0.2421 S
0.3135 0.0986 0.6629 S